## Exercise
Next, type out everything below with every line break kept.
## Input
=====
# ScHgPbI6
Computed XRD peak list, Cu Kα. Input: a crystal structure in Alexandria, relaxed with GGA-PBE.

Cell and atoms:
```
data_ScHgPbI6
_chemical_formula_sum 'Sc2 Hg2 Pb2 I12'
_symmetry_space_group_name_H-M 'C 1 2 1'
_symmetry_Int_Tables_number 5
_cell_length_a 7.858
_cell_length_b 13.576
_cell_length_c 7.194
_cell_angle_alpha 90.00
_cell_angle_beta 90.71
_cell_angle_gamma 90.00
loop_
_symmetry_equiv_pos_as_xyz
'x,y,z'
'-x,y,-z'
'x+1/2,y+1/2,z'
'-x+1/2,y+1/2,-z'
loop_
_atom_site_label
_atom_site_type_symbol
_atom_site_fract_x
_atom_site_fract_y
_atom_site_fract_z
Sc1 Sc 0.000 0.000 0.000
Hg1 Hg 0.000 0.334 0.500
Pb1 Pb 0.000 0.668 0.000
I1 I 0.145 0.849 0.761
I2 I 0.151 0.150 0.762
I3 I 0.197 0.503 0.761
```

Main lines, in order of rising 2θ (2θ from 10° to 80°):
17.85°, I 51, hkl 1 1 -1; 18.01°, I 100, hkl 1 1 1; 25.81°, I 72, hkl 1 3 -1; 25.96°, I 99, hkl 2 0 1; 33.71°, I 71, hkl 1 3 -2; 33.96°, I 78, hkl 2 0 2; 39.76°, I 75, hkl 3 3 0; 39.85°, I 40, hkl 0 6 0

* * * * *

1.
Calculated X-ray powder pattern of Nd4IBr4N for Cu Kα, from the GGA-PBE geometry in OQMD.
Kinematic intensities with the Lorentz-polarization factor, no thermal factor.

Structural model:
Lattice parameters (Å, degrees): 9.288 9.288 8.737 103.52 103.52 24.44
Sites, in units of the cell vectors:
Nd 0.001 0.001 0.307
Nd 0.361 0.361 0.429
Nd 0.639 0.639 0.571
Nd 0.999 0.999 0.693
I 0.500 0.500 0.000
Br 0.166 0.166 0.832
Br 0.171 0.171 0.335
Br 0.829 0.829 0.665
Br 0.834 0.834 0.168
N 0.500 0.500 0.500

Most intense lines, 10° ≤ 2θ ≤ 80°, most intense first:
- 30.59°, intensity 100
- 43.69°, intensity 43
- 30.42°, intensity 34
- 10.43°, intensity 33
- 10.04°, intensity 24
- 27.92°, intensity 16
- 46.18°, intensity 15
- 38.55°, intensity 15
- 41.34°, intensity 12
- 56.31°, intensity 12

---

2.
Calculated X-ray powder pattern of PrNdIBr2N for Cu Kα, from the GGA-PBE geometry in OQMD.
Kinematic intensities with the Lorentz-polarization factor, no thermal factor.

Structural model:
Lattice parameters (Å, degrees): 9.756 9.756 12.196 124.09 124.09 24.27
Sites, in units of the cell vectors:
Pr 0.137 0.137 0.285
Pr 0.863 0.863 0.715
Nd 0.426 0.426 0.042
Nd 0.574 0.574 0.958
I 0.230 0.230 0.128
I 0.770 0.770 0.872
Br 0.035 0.035 0.751
Br 0.332 0.332 0.497
Br 0.668 0.668 0.503
Br 0.965 0.965 0.249
N 0.425 0.425 0.849
N 0.575 0.575 0.151

Most intense lines, 10° ≤ 2θ ≤ 80°, most intense first:
- 30.74°, intensity 100
- 25.33°, intensity 74
- 30.09°, intensity 57
- 33.75°, intensity 44
- 29.39°, intensity 39
- 26.58°, intensity 34
- 44.15°, intensity 34
- 32.07°, intensity 33
- 36.89°, intensity 32
- 28.93°, intensity 31

---

3.
Calculated X-ray powder pattern of PrNdI2BrN for Cu Kα, from the GGA-PBE geometry in OQMD.
Kinematic intensities with the Lorentz-polarization factor, no thermal factor.

Structural model:
Lattice parameters (Å, degrees): 9.619 9.619 12.079 121.68 121.68 24.81
Sites, in units of the cell vectors:
Pr 0.078 0.078 0.461
Pr 0.922 0.922 0.539
Nd 0.371 0.371 0.222
Nd 0.629 0.629 0.778
I 0.164 0.164 0.018
I 0.450 0.450 0.763
I 0.550 0.550 0.237
I 0.836 0.836 0.982
Br 0.288 0.288 0.382
Br 0.712 0.712 0.618
N 0.070 0.070 0.651
N 0.930 0.930 0.349

Most intense lines, 10° ≤ 2θ ≤ 80°, most intense first:
- 30.23°, intensity 100
- 40.43°, intensity 95
- 26.40°, intensity 81
- 30.05°, intensity 63
- 29.82°, intensity 53
- 32.27°, intensity 44
- 25.00°, intensity 42
- 43.80°, intensity 39
- 34.13°, intensity 35
- 25.83°, intensity 31

---

4.
Calculated X-ray powder pattern of PrNdIBr2N for Cu Kα, from the GGA-PBE geometry in OQMD.
Kinematic intensities with the Lorentz-polarization factor, no thermal factor.

Structural model:
Lattice parameters (Å, degrees): 9.561 9.561 11.872 122.91 122.91 24.69
Sites, in units of the cell vectors:
Pr 0.078 0.078 0.460
Pr 0.922 0.922 0.540
Nd 0.365 0.365 0.213
Nd 0.635 0.635 0.787
I 0.455 0.455 0.773
I 0.545 0.545 0.227
Br 0.171 0.171 0.012
Br 0.284 0.284 0.377
Br 0.716 0.716 0.623
Br 0.829 0.829 0.988
=====
## Completed
# ScHgPbI6
Computed XRD peak list, Cu Kα. Input: a crystal structure in Alexandria, relaxed with GGA-PBE.

Cell and atoms:
```
data_ScHgPbI6
_chemical_formula_sum 'Sc2 Hg2 Pb2 I12'
_symmetry_space_group_name_H-M 'C 1 2 1'
_symmetry_Int_Tables_number 5
_cell_length_a 7.858
_cell_length_b 13.576
_cell_length_c 7.194
_cell_angle_alpha 90.00
_cell_angle_beta 90.71
_cell_angle_gamma 90.00
loop_
_symmetry_equiv_pos_as_xyz
'x,y,z'
'-x,y,-z'
'x+1/2,y+1/2,z'
'-x+1/2,y+1/2,-z'
loop_
_atom_site_label
_atom_site_type_symbol
_atom_site_fract_x
_atom_site_fract_y
_atom_site_fract_z
Sc1 Sc 0.000 0.000 0.000
Hg1 Hg 0.000 0.334 0.500
Pb1 Pb 0.000 0.668 0.000
I1 I 0.145 0.849 0.761
I2 I 0.151 0.150 0.762
I3 I 0.197 0.503 0.761
```

Main lines, in order of rising 2θ (2θ from 10° to 80°):
17.85°, I 51, hkl 1 1 -1; 18.01°, I 100, hkl 1 1 1; 25.81°, I 72, hkl 1 3 -1; 25.96°, I 99, hkl 2 0 1; 33.71°, I 71, hkl 1 3 -2; 33.96°, I 78, hkl 2 0 2; 39.76°, I 75, hkl 3 3 0; 39.85°, I 40, hkl 0 6 0

* * * * *

1.
Calculated X-ray powder pattern of Nd4IBr4N for Cu Kα, from the GGA-PBE geometry in OQMD.
Kinematic intensities with the Lorentz-polarization factor, no thermal factor.

Structural model:
Lattice parameters (Å, degrees): 9.288 9.288 8.737 103.52 103.52 24.44
Sites, in units of the cell vectors:
Nd 0.001 0.001 0.307
Nd 0.361 0.361 0.429
Nd 0.639 0.639 0.571
Nd 0.999 0.999 0.693
I 0.500 0.500 0.000
Br 0.166 0.166 0.832
Br 0.171 0.171 0.335
Br 0.829 0.829 0.665
Br 0.834 0.834 0.168
N 0.500 0.500 0.500

Most intense lines, 10° ≤ 2θ ≤ 80°, most intense first:
- 30.59°, intensity 100
- 43.69°, intensity 43
- 30.42°, intensity 34
- 10.43°, intensity 33
- 10.04°, intensity 24
- 27.92°, intensity 16
- 46.18°, intensity 15
- 38.55°, intensity 15
- 41.34°, intensity 12
- 56.31°, intensity 12

---

2.
Calculated X-ray powder pattern of PrNdIBr2N for Cu Kα, from the GGA-PBE geometry in OQMD.
Kinematic intensities with the Lorentz-polarization factor, no thermal factor.

Structural model:
Lattice parameters (Å, degrees): 9.756 9.756 12.196 124.09 124.09 24.27
Sites, in units of the cell vectors:
Pr 0.137 0.137 0.285
Pr 0.863 0.863 0.715
Nd 0.426 0.426 0.042
Nd 0.574 0.574 0.958
I 0.230 0.230 0.128
I 0.770 0.770 0.872
Br 0.035 0.035 0.751
Br 0.332 0.332 0.497
Br 0.668 0.668 0.503
Br 0.965 0.965 0.249
N 0.425 0.425 0.849
N 0.575 0.575 0.151

Most intense lines, 10° ≤ 2θ ≤ 80°, most intense first:
- 30.74°, intensity 100
- 25.33°, intensity 74
- 30.09°, intensity 57
- 33.75°, intensity 44
- 29.39°, intensity 39
- 26.58°, intensity 34
- 44.15°, intensity 34
- 32.07°, intensity 33
- 36.89°, intensity 32
- 28.93°, intensity 31

---

3.
Calculated X-ray powder pattern of PrNdI2BrN for Cu Kα, from the GGA-PBE geometry in OQMD.
Kinematic intensities with the Lorentz-polarization factor, no thermal factor.

Structural model:
Lattice parameters (Å, degrees): 9.619 9.619 12.079 121.68 121.68 24.81
Sites, in units of the cell vectors:
Pr 0.078 0.078 0.461
Pr 0.922 0.922 0.539
Nd 0.371 0.371 0.222
Nd 0.629 0.629 0.778
I 0.164 0.164 0.018
I 0.450 0.450 0.763
I 0.550 0.550 0.237
I 0.836 0.836 0.982
Br 0.288 0.288 0.382
Br 0.712 0.712 0.618
N 0.070 0.070 0.651
N 0.930 0.930 0.349

Most intense lines, 10° ≤ 2θ ≤ 80°, most intense first:
- 30.23°, intensity 100
- 40.43°, intensity 95
- 26.40°, intensity 81
- 30.05°, intensity 63
- 29.82°, intensity 53
- 32.27°, intensity 44
- 25.00°, intensity 42
- 43.80°, intensity 39
- 34.13°, intensity 35
- 25.83°, intensity 31

---

4.
Calculated X-ray powder pattern of PrNdIBr2N for Cu Kα, from the GGA-PBE geometry in OQMD.
Kinematic intensities with the Lorentz-polarization factor, no thermal factor.

Structural model:
Lattice parameters (Å, degrees): 9.561 9.561 11.872 122.91 122.91 24.69
Sites, in units of the cell vectors:
Pr 0.078 0.078 0.460
Pr 0.922 0.922 0.540
Nd 0.365 0.365 0.213
Nd 0.635 0.635 0.787
I 0.455 0.455 0.773
I 0.545 0.545 0.227
Br 0.171 0.171 0.012
Br 0.284 0.284 0.377
Br 0.716 0.716 0.623
Br 0.829 0.829 0.988